**Excerpt:**
........
1.
Compound: BaLaMnInO6
Source: Materials Project
Functional: PBE with a Hubbard U
Structure: optimized geometry

POSCAR file:
```
BaLaMnInO6
1.0
0.000 4.056 4.056
4.056 0.000 4.056
4.056 4.056 0.000
Ba La Mn In O
1 1 1 1 6
Direct
0.000 0.000 0.000
0.500 0.500 0.500
0.750 0.750 0.750
0.250 0.250 0.250
0.513 0.513 0.987
0.513 0.987 0.513
0.513 0.987 0.987
0.987 0.513 0.513
0.987 0.513 0.987
0.987 0.987 0.513
```

Summary:
Formation enthalpy at 0 K, eV per atom: -2.598
Total energy after the MP2020 corrections, eV per cell: -74.44
Energy above the most stable polymorph in this dataset, meV per atom: 35

---

2.
Compound: Mn4O7F
Source: Materials Project
Functional: PBE with a Hubbard U
Structure: optimized geometry

POSCAR file:
```
Mn4O7F
1.0
6.984 0.000 0.000
0.000 4.953 0.000
-1.436 0.000 6.965
Mn O F
8 14 2
Direct
0.000 0.005 0.000
0.000 0.995 0.500
0.348 0.474 0.635
0.348 0.526 0.135
0.509 0.012 0.995
0.509 0.988 0.495
0.857 0.493 0.647
0.857 0.507 0.147
0.102 0.337 0.134
0.102 0.663 0.634
0.255 0.156 0.512
0.255 0.844 0.012
0.367 0.336 0.898
0.367 0.664 0.398
0.602 0.314 0.639
0.602 0.686 0.139
0.760 0.183 0.014
0.760 0.817 0.514
0.864 0.322 0.402
0.864 0.678 0.902
0.991 0.167 0.744
0.991 0.833 0.244
0.484 0.207 0.249
0.484 0.793 0.749
```

Summary:
Formation enthalpy at 0 K, eV per atom: -1.884
Total energy after the MP2020 corrections, eV per cell: -191.62
Energy above the most stable polymorph in this dataset, meV per atom: 6

---

3.
Compound: Li2Mn3NbO8
Source: Materials Project
Functional: PBE with a Hubbard U
Structure: optimized geometry

POSCAR file:
```
Li2Mn3NbO8
1.0
8.634 0.000 0.000
0.000 8.634 0.000
0.000 0.000 8.634
Li Mn Nb O
8 12 4 32
Direct
0.007 0.007 0.007
0.243 0.243 0.243
0.257 0.757 0.743
0.493 0.993 0.507
0.507 0.493 0.993
0.743 0.257 0.757
0.757 0.743 0.257
0.993 0.507 0.493
0.123 0.127 0.625
0.125 0.377 0.873
0.127 0.625 0.123
0.373 0.375 0.623
0.375 0.623 0.373
0.377 0.873 0.125
0.623 0.373 0.375
0.625 0.123 0.127
0.627 0.875 0.877
0.873 0.125 0.377
0.875 0.877 0.627
0.877 0.627 0.875
0.125 0.875 0.375
0.375 0.125 0.875
0.625 0.625 0.625
0.875 0.375 0.125
0.103 0.108 0.372
0.108 0.372 0.103
0.109 0.609 0.891
0.122 0.642 0.353
0.128 0.897 0.608
0.141 0.359 0.641
0.142 0.147 0.878
0.147 0.878 0.142
0.353 0.122 0.642
0.358 0.853 0.378
0.359 0.641 0.141
0.372 0.103 0.108
0.378 0.358 0.853
0.391 0.391 0.391
0.392 0.628 0.603
0.397 0.892 0.872
0.603 0.392 0.628
0.608 0.128 0.897
0.609 0.891 0.109
0.622 0.858 0.647
0.628 0.603 0.392
0.641 0.141 0.359
0.642 0.353 0.122
0.647 0.622 0.858
0.853 0.378 0.358
0.858 0.647 0.622
0.859 0.859 0.859
0.872 0.397 0.892
0.878 0.142 0.147
0.891 0.109 0.609
0.892 0.872 0.397
0.897 0.608 0.128
```

Summary:
Formation enthalpy at 0 K, eV per atom: -2.311
Total energy after the MP2020 corrections, eV per cell: -453.36
Energy above the most stable polymorph in this dataset, meV per atom: 49

---

4.
Compound: Li2V3SnO8
Source: Materials Project
Functional: PBE with a Hubbard U
Structure: optimized geometry

POSCAR file:
```
Li2V3SnO8
1.0
6.005 0.000 0.000
2.953 5.235 0.000
2.910 1.757 10.245
Li V Sn O
4 6 2 16
Direct
0.059 0.059 0.314
0.431 0.445 0.181
0.569 0.555 0.819
0.941 0.941 0.686
0.000 0.000 0.000
0.000 0.500 0.000
0.000 0.500 0.500
0.500 0.000 0.000
0.500 0.000 0.500
0.500 0.500 0.500
0.259 0.246 0.750
0.741 0.754 0.250
0.089 0.647 0.119
0.138 0.132 0.100
0.147 0.598 0.615
0.155 0.132 0.617
0.371 0.375 0.401
0.373 0.345 0.886
0.374 0.896 0.885
0.395 0.848 0.384
0.605 0.152 0.616
0.626 0.104 0.115
0.627 0.655 0.114
0.629 0.625 0.599
0.845 0.868 0.383
0.853 0.402 0.385
0.862 0.868 0.900
0.911 0.353 0.881
```

Summary:
Formation enthalpy at 0 K, eV per atom: -2.408
Total energy after the MP2020 corrections, eV per cell: -216.75
Energy above the most stable polymorph in this dataset, meV per atom: 21

---

5.
Compound: RbCrCoF6
Source: Materials Project
Functional: PBE with a Hubbard U
Structure: optimized geometry

POSCAR file:
```
RbCrCoF6
1.0
-3.680 3.701 5.250
........
**Job:**
Your job: type out all of the material further up verbatim.
**Reply:**
1.
Compound: BaLaMnInO6
Source: Materials Project
Functional: PBE with a Hubbard U
Structure: optimized geometry

POSCAR file:
```
BaLaMnInO6
1.0
0.000 4.056 4.056
4.056 0.000 4.056
4.056 4.056 0.000
Ba La Mn In O
1 1 1 1 6
Direct
0.000 0.000 0.000
0.500 0.500 0.500
0.750 0.750 0.750
0.250 0.250 0.250
0.513 0.513 0.987
0.513 0.987 0.513
0.513 0.987 0.987
0.987 0.513 0.513
0.987 0.513 0.987
0.987 0.987 0.513
```

Summary:
Formation enthalpy at 0 K, eV per atom: -2.598
Total energy after the MP2020 corrections, eV per cell: -74.44
Energy above the most stable polymorph in this dataset, meV per atom: 35

---

2.
Compound: Mn4O7F
Source: Materials Project
Functional: PBE with a Hubbard U
Structure: optimized geometry

POSCAR file:
```
Mn4O7F
1.0
6.984 0.000 0.000
0.000 4.953 0.000
-1.436 0.000 6.965
Mn O F
8 14 2
Direct
0.000 0.005 0.000
0.000 0.995 0.500
0.348 0.474 0.635
0.348 0.526 0.135
0.509 0.012 0.995
0.509 0.988 0.495
0.857 0.493 0.647
0.857 0.507 0.147
0.102 0.337 0.134
0.102 0.663 0.634
0.255 0.156 0.512
0.255 0.844 0.012
0.367 0.336 0.898
0.367 0.664 0.398
0.602 0.314 0.639
0.602 0.686 0.139
0.760 0.183 0.014
0.760 0.817 0.514
0.864 0.322 0.402
0.864 0.678 0.902
0.991 0.167 0.744
0.991 0.833 0.244
0.484 0.207 0.249
0.484 0.793 0.749
```

Summary:
Formation enthalpy at 0 K, eV per atom: -1.884
Total energy after the MP2020 corrections, eV per cell: -191.62
Energy above the most stable polymorph in this dataset, meV per atom: 6

---

3.
Compound: Li2Mn3NbO8
Source: Materials Project
Functional: PBE with a Hubbard U
Structure: optimized geometry

POSCAR file:
```
Li2Mn3NbO8
1.0
8.634 0.000 0.000
0.000 8.634 0.000
0.000 0.000 8.634
Li Mn Nb O
8 12 4 32
Direct
0.007 0.007 0.007
0.243 0.243 0.243
0.257 0.757 0.743
0.493 0.993 0.507
0.507 0.493 0.993
0.743 0.257 0.757
0.757 0.743 0.257
0.993 0.507 0.493
0.123 0.127 0.625
0.125 0.377 0.873
0.127 0.625 0.123
0.373 0.375 0.623
0.375 0.623 0.373
0.377 0.873 0.125
0.623 0.373 0.375
0.625 0.123 0.127
0.627 0.875 0.877
0.873 0.125 0.377
0.875 0.877 0.627
0.877 0.627 0.875
0.125 0.875 0.375
0.375 0.125 0.875
0.625 0.625 0.625
0.875 0.375 0.125
0.103 0.108 0.372
0.108 0.372 0.103
0.109 0.609 0.891
0.122 0.642 0.353
0.128 0.897 0.608
0.141 0.359 0.641
0.142 0.147 0.878
0.147 0.878 0.142
0.353 0.122 0.642
0.358 0.853 0.378
0.359 0.641 0.141
0.372 0.103 0.108
0.378 0.358 0.853
0.391 0.391 0.391
0.392 0.628 0.603
0.397 0.892 0.872
0.603 0.392 0.628
0.608 0.128 0.897
0.609 0.891 0.109
0.622 0.858 0.647
0.628 0.603 0.392
0.641 0.141 0.359
0.642 0.353 0.122
0.647 0.622 0.858
0.853 0.378 0.358
0.858 0.647 0.622
0.859 0.859 0.859
0.872 0.397 0.892
0.878 0.142 0.147
0.891 0.109 0.609
0.892 0.872 0.397
0.897 0.608 0.128
```

Summary:
Formation enthalpy at 0 K, eV per atom: -2.311
Total energy after the MP2020 corrections, eV per cell: -453.36
Energy above the most stable polymorph in this dataset, meV per atom: 49

---

4.
Compound: Li2V3SnO8
Source: Materials Project
Functional: PBE with a Hubbard U
Structure: optimized geometry

POSCAR file:
```
Li2V3SnO8
1.0
6.005 0.000 0.000
2.953 5.235 0.000
2.910 1.757 10.245
Li V Sn O
4 6 2 16
Direct
0.059 0.059 0.314
0.431 0.445 0.181
0.569 0.555 0.819
0.941 0.941 0.686
0.000 0.000 0.000
0.000 0.500 0.000
0.000 0.500 0.500
0.500 0.000 0.000
0.500 0.000 0.500
0.500 0.500 0.500
0.259 0.246 0.750
0.741 0.754 0.250
0.089 0.647 0.119
0.138 0.132 0.100
0.147 0.598 0.615
0.155 0.132 0.617
0.371 0.375 0.401
0.373 0.345 0.886
0.374 0.896 0.885
0.395 0.848 0.384
0.605 0.152 0.616
0.626 0.104 0.115
0.627 0.655 0.114
0.629 0.625 0.599
0.845 0.868 0.383
0.853 0.402 0.385
0.862 0.868 0.900
0.911 0.353 0.881
```

Summary:
Formation enthalpy at 0 K, eV per atom: -2.408
Total energy after the MP2020 corrections, eV per cell: -216.75
Energy above the most stable polymorph in this dataset, meV per atom: 21

---

5.
Compound: RbCrCoF6
Source: Materials Project
Functional: PBE with a Hubbard U
Structure: optimized geometry

POSCAR file:
```
RbCrCoF6
1.0
-3.680 3.701 5.250